On election night, this old man went to bed dreading the news that unindicted outlaw Hillary Clinton might be elected President of the United States. It really really bothered me that so many people had used their genitals-where there are no brains-to vote for someone who had put her personal desires ahead of those of the country while serving as the nation’s Secretary of State.  In doing so, she used an unsecure personal internet server instead of a secure State Department server for her email communications enabling foreign espionage.  Speculation has it that this was done so that she could bypass State Department records and Freedom of Information inquiries while collecting Clinton Foundation donations which may or may not have been legal and/or reported.


Absent an Obama Presidential pardon, Hillary Clinton must be charged and prosecuted for her actions and, if convicted, serve at least 2-3 months in prison to serve as an example of what public officials must NEVER do. Failure to prosecute will negate all Trump claims of draining the swamp.  If she is then pardoned, so must all those who have been charged for the same crime.


Since Donald J. Trump has become President-elect, the Democrats and scum (mainstream) media has gone on a fanatical rampage against Mr. Trump criticizing him for anything and everything. Mr. President-elect, please note that the swamp you want to drain includes the scum media.  The press are venal and a disgrace to all former journalists who had integrity.  Lacking an epiphany, the American public can expect more Democratic Party and scum media propaganda and garbage for the next four years.  To counteract these attacks, President-elect Trump must carefully continue to use social media to bypass the garbage dump and keep the nation informed.

_Between two parts of the entry: calculated molecules_
/*
# 1
Here is C34H56GeN6O8PTi as an isolated structure from the Open Molecules 2025 dataset. Energies are from ωB97M-V with the def2-TZVPD basis set.

XYZ file:
```
107
Properties=species:S:1:pos:R:3:lowdin_charge:R:1
Ti 0.18 -0.79 0.26 1.119
C -1.49 -3.01 3.16 -0.011
C -1.98 -1.66 2.64 -0.650
C -2.60 -0.87 3.78 -0.059
C -3.00 -1.86 1.53 -0.017
O -0.87 -0.92 2.07 -0.419
Ge 0.23 0.26 3.17 1.070
O -0.15 1.76 2.18 -0.344
C -0.85 2.92 2.63 -0.692
C -0.84 3.05 4.15 -0.065
C -2.28 2.83 2.12 -0.023
C -0.13 4.11 2.01 -0.028
O 1.50 -0.22 1.71 -0.437
C 2.93 -0.03 1.95 -0.632
C 3.30 1.43 1.69 -0.014
C 3.74 -0.95 1.04 -0.009
C 3.26 -0.36 3.41 -0.071
H -2.31 -3.54 3.64 0.099
H -0.70 -2.86 3.91 0.094
H -1.10 -3.63 2.36 0.074
H -3.50 -1.38 4.13 0.096
H -2.90 0.13 3.44 0.067
H -1.92 -0.77 4.62 0.063
H -3.89 -2.36 1.92 0.102
H -2.60 -2.47 0.73 0.080
H -3.29 -0.89 1.13 0.086
H -1.36 2.21 4.62 0.066
H -1.35 3.97 4.44 0.092
H 0.18 3.08 4.53 0.084
H -2.83 2.05 2.65 0.071
H -2.27 2.56 1.06 0.054
H -2.82 3.77 2.26 0.094
H 0.90 4.17 2.39 0.087
H -0.64 5.05 2.24 0.092
H -0.08 4.00 0.92 0.052
H 3.37 1.64 0.63 0.067
H 4.28 1.63 2.13 0.097
H 2.57 2.10 2.14 0.081
H 4.78 -0.64 1.06 0.102
H 3.38 -0.90 0.02 0.055
H 3.69 -1.99 1.36 0.081
H 2.87 0.39 4.10 0.061
H 4.35 -0.39 3.53 0.098
H 2.87 -1.33 3.71 0.077
O 0.91 -7.88 0.54 -0.028
C 1.43 -7.14 1.39 -0.692
O 2.11 -7.37 2.40 -0.035
C 1.18 -5.62 1.14 -0.070
C 1.72 -4.66 1.98 0.030
C 1.49 -3.32 1.73 -0.115
N 0.77 -2.90 0.69 0.035
C 0.22 -3.83 -0.10 -0.191
C 0.39 -5.18 0.08 0.082
C -0.65 -3.25 -1.18 -0.549
O -1.27 -3.88 -1.99 0.127
O -0.65 -1.92 -1.12 -0.237
H 2.30 -4.99 2.83 0.123
H 1.87 -2.56 2.38 0.085
H -0.07 -5.90 -0.58 0.135
N 2.23 -2.11 -2.02 0.156
C 2.92 -1.03 -2.51 -0.265
C 3.99 -1.19 -3.37 -0.013
C 4.73 -0.10 -3.85 -0.070
C 4.41 1.17 -3.48 -0.048
C 3.34 1.38 -2.59 -0.154
C 2.98 2.69 -2.18 0.006
C 1.98 2.86 -1.29 -0.047
C 1.32 1.73 -0.78 -0.166
N 1.59 0.49 -1.15 0.077
C 2.59 0.29 -2.06 -0.167
H 2.46 -3.00 -2.43 0.118
H 1.23 -1.98 -1.90 0.042
H 4.24 -2.20 -3.69 0.117
H 5.56 -0.28 -4.53 0.110
H 4.95 2.02 -3.86 0.111
H 3.54 3.53 -2.58 0.125
H 1.69 3.84 -0.92 0.111
H 0.55 1.86 -0.03 0.085
C -1.77 3.80 -1.35 -0.101
N -2.59 2.62 -1.58 -0.295
C -4.00 2.82 -1.29 -0.083
P -1.94 1.13 -1.86 0.579
O -1.26 0.51 -0.67 -0.328
N -3.15 0.18 -2.39 -0.291
C -3.56 -1.08 -1.78 -0.075
C -3.87 0.53 -3.60 -0.094
N -0.88 1.41 -3.11 -0.274
C -0.99 2.48 -4.08 -0.104
C -0.28 0.21 -3.70 -0.079
H -2.04 4.60 -2.03 0.093
H -0.72 3.56 -1.49 0.065
H -1.91 4.16 -0.33 0.068
H -4.12 3.25 -0.29 0.080
H -4.54 1.87 -1.32 0.076
H -4.46 3.50 -2.01 0.092
H -2.84 -1.38 -1.04 0.029
H -3.59 -1.86 -2.54 0.098
H -4.55 -1.00 -1.32 0.093
H -3.53 1.49 -3.99 0.072
H -4.94 0.61 -3.40 0.089
H -3.72 -0.23 -4.37 0.092
H -1.68 3.25 -3.75 0.062
H -1.36 2.10 -5.04 0.086
H -0.01 2.94 -4.26 0.089
H -0.27 -0.60 -2.97 0.059
H 0.74 0.42 -4.03 0.090
H -0.87 -0.13 -4.56 0.095
```

Results
Orbital gap (alpha / beta) (eV): 6.540 / 6.537
DFT total energy (eV): -150416.169
⟨S²⟩: 0.752
2S+1: 2
*/


All the polls, pundits and experts predicted Mrs. Clinton would win———-BUT SHE DIDN’T. Why was everyone wrong?  They were wrong because all of them were so convinced of their methods and false intellectual superiority above the masses of everyday Americans that they never really tried to learn the truth.  It appears to me that all the scum networks and newspapers never bothered to get out of their plush offices and into the streets across the nation to poll the American people.  The Fox News Channel and the Wall Street Journal also appear to be guilty of this slothful behavior.  All of them were lazy, incompetent and reported on the lies they were receiving as if it were the gospel.


Some news networks never bothered hiding their prejudices against Mr. Trump. My God, there is scum everywhere.  You have a better chance of learning the truth off of the unreliable Internet than you do by watching your TV.  Oh, by the way, the scum networks include their biases and contempt for religion and the people in their programming and commercials.  Twenty four hours a day seven days a week the scum networks broadcast propaganda issued by various government entities that have used the Communist Rules for Revolution as a governing guide.  You don’t have to believe me, look it up.


When the cast of a Broadway show stood on stage and badgered Vice-President Elect Pence, they demonstrated that they have no class. Entertainers in the past usually were classy individuals.  It sure looks like classy entertainers in this country are about to go extinct.


As for the so-called protesters—many of whom may being paid by wealthy left wing immigrants to this country—we need to give each of them a warm baby bottle so that they will feel better and have something to suck on.

[Someone pasted data records at this point]
=====
Record 1
The following is a DFT calculation (wB97M-V/def2-TZVPD) of a molecular structure, C23H38BBr2N4O3Pd.

```
! RIJCOSX wB97M-V def2-TZVPD def2/J DEFGRID3
* xyz 1 1
Pd -0.12 0.12 0.14
Br 1.10 1.07 2.54
C 2.63 -0.04 2.19
Br 2.42 -1.01 0.54
H 2.71 -0.76 3.00
H 3.49 0.60 2.10
C 1.70 -3.30 6.01
C 0.98 -3.16 4.70
C -0.07 -2.25 4.55
C -0.75 -2.11 3.35
C -1.92 -1.16 3.29
C -0.38 -2.93 2.27
C -1.02 -2.82 0.96
O -1.48 -1.80 0.49
C 0.64 -3.89 2.41
C 1.05 -4.82 1.29
C 1.31 -3.98 3.62
H 1.50 -2.45 6.67
H 2.78 -3.36 5.86
H 1.39 -4.21 6.53
H -0.36 -1.64 5.39
H -2.07 -0.69 4.26
H -2.84 -1.67 3.01
H -1.77 -0.37 2.55
H -1.04 -3.72 0.34
H 1.36 -4.28 0.39
H 0.23 -5.49 1.00
H 1.88 -5.45 1.61
H 2.11 -4.70 3.73
C -2.16 1.71 -1.45
N -1.33 1.86 -0.20
C -2.27 2.10 0.93
N -3.09 3.27 0.71
C -3.86 3.08 -0.54
N -2.98 2.87 -1.70
C -2.11 4.05 -1.83
N -1.30 4.27 -0.62
C -0.49 3.09 -0.38
C -2.22 4.44 0.52
H -2.78 0.83 -1.33
H -1.47 1.56 -2.28
H -1.69 2.23 1.84
H -2.90 1.22 1.03
H -4.48 3.96 -0.71
H -4.51 2.21 -0.42
H -2.72 4.93 -2.01
H -1.44 3.91 -2.68
H 0.09 3.23 0.53
H 0.18 2.92 -1.21
H -2.84 5.32 0.35
H -1.63 4.60 1.43
C -1.28 -1.57 -4.72
C -0.19 -1.49 -3.69
C 0.54 -2.82 -3.55
O -0.82 -1.24 -2.37
B 0.00 -0.35 -1.76
O 1.01 0.19 -2.48
C 0.78 -0.27 -3.87
C 0.16 0.90 -4.61
C 2.13 -0.62 -4.46
H -1.91 -2.44 -4.51
H -0.85 -1.70 -5.72
H -1.91 -0.68 -4.73
H -0.18 -3.57 -3.23
H 1.33 -2.77 -2.80
H 0.98 -3.13 -4.50
H -0.81 1.17 -4.19
H 0.02 0.67 -5.67
H 0.82 1.76 -4.52
H 2.69 -1.28 -3.81
H 2.71 0.29 -4.61
H 2.00 -1.10 -5.43
*
```

Results
* E_tot: -180808.542 eV
* max |F|: 0.0121 Eh/bohr
* gap between HOMO and LUMO: 8.4 eV
* HOMO level: -0.4162 Eh
* E_LUMO: -2.9 eV
* ΔE to the lowest compared entry with this formula, charge and spin: 11.6 kcal per mole

***

Record 2
The following is a DFT calculation (wB97M-V/def2-TZVPD) of 5 unconnected molecules or ions with the total composition C23H38BF12IN2O8 in a non-equilibrium geometry.

```
! RIJCOSX wB97M-V def2-TZVPD def2/J DEFGRID3
* xyz 0 1
C 2.14 0.71 3.82
C 1.40 0.44 2.49
C -0.14 0.43 2.62
I -1.03 -0.04 0.68
B -0.82 1.71 3.31
C -0.16 3.16 3.44
N 0.82 3.52 2.37
C -2.29 1.53 3.97
C -3.39 2.00 2.96
C -4.84 1.98 3.53
N -5.49 0.68 3.18
H 3.22 0.54 3.75
H 1.76 0.03 4.60
H 2.00 1.75 4.16
H 1.71 1.14 1.71
H 1.72 -0.56 2.14
H -0.40 -0.44 3.25
H 0.29 3.32 4.43
H -1.00 3.89 3.38
H 1.66 3.80 2.83
H 0.48 4.26 1.77
H -2.39 2.20 4.85
H -2.46 0.51 4.34
H -3.09 3.01 2.62
H -3.39 1.35 2.08
H -5.44 2.80 3.10
H -4.80 2.07 4.63
H -6.32 0.85 2.63
H -5.85 0.24 4.01
C 1.91 -6.02 1.39
C 3.03 -5.84 2.38
O 4.09 -5.04 1.84
C 3.89 -3.72 1.87
O 2.92 -3.19 2.30
C 5.10 -2.99 1.31
F 5.53 -3.54 0.17
F 6.11 -3.01 2.17
F 4.82 -1.72 1.05
H 2.29 -6.42 0.45
H 1.15 -6.69 1.78
H 1.43 -5.06 1.15
H 3.48 -6.81 2.62
H 2.68 -5.41 3.32
C 1.05 0.74 -2.67
C 1.54 -0.28 -3.68
O 0.50 -0.61 -4.62
C 0.34 0.26 -5.61
O 0.96 1.26 -5.76
C -0.75 -0.23 -6.56
F -1.83 -0.66 -5.89
F -0.31 -1.24 -7.30
F -1.16 0.72 -7.38
H 0.14 0.39 -2.18
H 1.81 0.92 -1.91
H 0.81 1.69 -3.15
H 1.79 -1.21 -3.17
=====


If you truly want to have input into how we are governed, the country needs The Accountability Amendment (August 4, 2016 post) and The Federal Judiciary Amendment (March 31 2016 post). All politicians will vigorously oppose both amendments because it makes all government accountable to the public with serious consequences for lying and actions that damage our citizens and country.


God Bless President-elect Donald Trump and the United States of America.


Ernie Kanak

### Misplaced data records
{"formula": "C19H20CrN6O3P", "method": "ωB97M-V with the def2-TZVPD basis set", "species": ["Cr", "C", "N", "C", "C", "N", "C", "P", "C", "N", "C", "C", "N", "C", "C", "N", "C", "C", "N", "C", "H", "H", "H", "H", "H", "H", "H", "H", "H", "H", "H", "H", "H", "H", "H", "O", "C", "C", "C", "C", "C", "C", "C", "O", "O", "H", "H", "H", "H", "H"], "xyz": [[-1.027937, -0.243490, -0.348280], [4.206551, -2.245626, 0.283408], [2.806510, -2.088206, 0.711217], [2.219046, -2.320031, 1.919733], [0.883695, -1.992400, 1.789459], [0.724904, -1.508890, 0.535283], [1.860677, -1.539140, -0.099823], [2.263776, -0.675769, -1.690838], [0.717591, -0.948693, -2.675473], [-0.540987, -0.983820, -2.295301], [-1.301496, -1.234011, -3.391836], [-0.502314, -1.493737, -4.501455], [0.760324, -1.341543, -3.990461], [2.059226, -1.681129, -4.667755], [1.733023, 1.033976, -0.990663], [0.530628, 1.327803, -0.512699], [0.537773, 2.515425, 0.092945], [1.827291, 3.001033, 0.031742], [2.568328, 2.066405, -0.684905], [3.850168, 2.352879, -1.366296], [4.316561, -3.265525, -0.027835], [4.958096, -1.936177, 0.997833], [4.471801, -1.745719, -0.648210], [2.844202, -2.737524, 2.707825], [0.108896, -1.986678, 2.504976], [-2.378751, -1.122178, -3.414227], [-0.582763, -1.776573, -5.518798], [2.190490, -2.778427, -4.755136], [2.839631, -1.181810, -4.074299], [1.989810, -1.363692, -5.697946], [-0.301643, 2.823216, 0.647679], [2.214603, 4.014398, 0.358939], [4.248578, 1.488461, -1.853306], [4.609632, 2.747869, -0.653928], [3.640940, 3.162046, -2.065280], [-5.764132, 0.141323, 1.408681], [-4.996547, 0.586404, 2.379432], [-5.663805, 1.165145, 3.455174], [-5.004854, 1.758739, 4.500795], [-3.612207, 1.752729, 4.518415], [-2.941040, 1.239104, 3.425846], [-3.621393, 0.612777, 2.382086], [-2.649787, 0.191851, 1.287610], [-3.062479, -0.275476, 0.215879], [-1.424060, 0.229881, 1.516742], [-5.337723, -0.333762, 0.739256], [-6.772087, 1.192306, 3.484833], [-5.605264, 2.091223, 5.308586], [-3.045385, 2.136625, 5.344153], [-1.846099, 1.168407, 3.376219]], "atomic_forces_ev_per_a": [[0.9, -0.4, -0.2], [-0.1, -0.5, -0.3], [0.8, 1.3, -1.0], [0.5, -0.7, 0.4], [1.9, 0.0, -0.5], [-1.9, 0.7, -0.6], [0.6, -0.3, -0.4], [-1.4, 1.4, 1.0], [0.6, -1.6, -0.9], [-0.9, 1.4, 0.6], [-0.6, -0.3, -1.5], [0.9, 0.5, 2.6], [2.1, -0.1, -0.1], [-1.2, -0.3, 0.2], [0.1, 0.0, -0.1], [-0.6, -2.5, -0.9], [2.1, 0.2, 0.2], [0.2, 1.4, -0.1], [0.2, 0.3, -0.1], [-0.1, 1.3, 1.3], [0.4, -0.8, 0.4], [-0.3, -0.1, 0.5], [-0.7, 0.6, 0.2], [-0.6, 0.1, -0.1], [-0.6, -0.1, 0.5], [0.2, -0.3, 0.4], [-0.7, -0.1, -0.6], [0.0, 0.6, 0.6], [-0.1, -0.4, -0.8], [0.3, 0.6, -0.1], [-0.7, 0.7, 0.3], [-0.3, -1.7, -0.5], [0.0, -0.5, -0.3], [-0.6, -0.4, -0.3], [0.2, -0.2, -0.3], [-2.2, 0.3, 0.3], [0.0, 0.7, 0.5], [-1.4, 0.3, 0.2], [0.6, -0.9, -0.4], [0.3, 0.2, -0.3], [0.2, -0.5, 0.9], [2.4, 0.5, -0.8], [-3.1, -0.1, 2.6], [-0.6, -0.6, -2.2], [1.7, 0.6, 0.1], [1.5, -1.0, -1.5], [0.9, -0.3, -0.4], [-0.2, 0.6, 0.7], [0.0, 0.2, 0.3], [-0.6, 0.4, 0.3]], "s2": 6.0108, "lumo_ev": [-2.55, -2.61], "charge": 1, "spin_multiplicity": 5}

No thank you